Tuesday, May 6, 2014

Week one in the books!!

Last week went pretty darn well minus the one day that I cut short and only powered out 1.5 miles because wine was knocking at my door.  The real highlight of the week was my trip home to Spokane to participate in Bloomsday a 14k race with 57k of your closest friends.  It is one of those races that you say sorry at the beginning for bumping into people around you and that "sorry" should cover you for the whole race!  As you know my training only called for a 5mile run but instead I did a 10.3 miles walk and I was not prepared for that.  Live and learn I guess. I was good physically and with my wind but my feet just could not handle the the distance without getting many blisters on them.  It was a great day for an event as my mom likes to call them because she says she is not racing anyone just participating.  I have a few pictures from the day that I stole from my Aunt Patti who flew in from Cali to do Bloomsday with us.  I will leave you with a few pictures of the day and will fill you in on this weeks training later on this week.  As a preview it is much of the same distances as last week as this is just the getting back to running phase.
It is tradition in Bloomsday to throw your unwanted clothes at the start line in the tree to be donated!

The start

The Church that always has their bells ringing and choir singing as the race is always on a Sunday!

Carrying the Flag the whole 7.4 miles!!

This is a picture of the hill of all hills called Doomsday Hill.  

Here is another shot of the hill.

another Bloomsday tradition, the Vulture at the top of the hill to greet you!

There is it almost done Mile 6.

This week I have 2-3-2 and a weekend run of 4 miles.  

Monday, April 28, 2014

Marathon or Bust

      I have a new goal and training starts now!!
I have singed up for the Portland marathon on October 4th 2014.  I will say that I did complete the Seattle half it was a walk not a run but it was completed.  That is not the goal I have for the Portland marathon.  I want to do it like for real run the whole way and check the marathon off my list.  I got the idea to do this when I was thinking about doing a full Ironman.  I was thinking that it might be wise to conquer the marathon first before I bite off a goal of an Ironman.  So when my boss sent me a link to sign up for the Portland half marathon.... I just clicked the full button and not the half I thought why not.  I have taken time off from the training world and I need to get back at it.  I need to have something to blog about trust me my "normal" life is too boring to share.  I need some accountability to keep my butt in gear.  

This week's training:
Monday: Rest Day  Its the first week of training so I will be doing a gym activity of sorts swimming or lifting.
Tuesday: 2 mile run
Wednesday: 3 mile run
Thursday: 2 mile run
Friday:  Rest
Saturday: 5 mile long run.  Rest day
Sunday: Walk 30 mins. I will be doing a race with my Mother and Aunt in Spokane that is 7.4 miles I believe, so this will be the long run for the week with a rest day on Monday.  I am out of shape so this will be a run walk combo. As some of my runs will be until I get back up to my old running self.

I have not had any real motivation on this front I just think of this a goal far out in the distance this will truly be a big test fro me to see if I can stick to this plan and get ready for a full blown marathon.  Here goes nothing.


Wednesday, September 4, 2013

Post race blues

   Anyone who has done a big event knows the highs and lows of training and the joy of finishing an event.  I have now found a new portion of this process called the post race blues or laziness is maybe a better name.  I was so excited to do whatever I wanted, whenever I wanted when it came to my time and diet.  This has resulted in a dusty bike that may still have my race number attached to it because it had not been ridden since the race, a swimsuit that was pulled out only to be used at a water park and my running shoes that have been pulled out one time for a walk to the store.  Needless to say I have given up on being active because it was a big part of my life for so long.  I am now reaping the wonderful benefits of being lazy, like buying a bigger pair of pants to wear to work and looking at people that are out and about exercising like they have done lost their mind.  Well this 6 week lazy bone cocktail fest is OVER!!!  I have Signed up for the Seattle Half Marathon so I can get out there running and feeling good again.  I realize that I was a little brunt out and that I may need to balance working out and life a little better so that I can do both all the time with out feeling like I need to cut out one or the other every 4 months.  So back to a manageable training program of 3-4 day of training a week with short manageable runs during the week and no double days.  My training begins next week with a 4 mile run.  I may need to change the name of my blog again to a Half Marathon adventure.

Friday, August 23, 2013

AM I a Half Ironman????

Well this is long over due and with crazy training I just didn't blog what so ever.
Well it was race weekend if I was ready for it or not.  I am not sure if you ever feel satisfied and ready the weekend of a race.  You know you put in the work but was it enough?? Did I do enough hills did I open water swim enough did I tapper too much.  Then you breathe and say it is here anyway and I am going to do this.
With my Mom and sister by my side we went to check in to the hotel, and to Ironman Village.  I must say they know how to put on a race and it well worth 360,000 pennies it cost to get into the dang thing.  My sister Keri happens to be a photographer and she has graciously shared her photos of the day with me. I will let them do most of the talking.  ENJOY

Race day started early.
 A good luck card from my nephew Ryland so cute!!
 The pre race schedule so people would know where I was on the course if all goes well.
 Body marking in the morning I will tell you this once those markings are on you it seams like you blink and you are in the water starting the race.
 transition before the race begins
 The swim course, thank goodness they have a line under water you can follow because it stayed this foggy the whole time during the race very hard to see.  I guess I didn't need those polarized swim goggles after all.
 Wetsuiting Up.

**Unrelated to this article: materials data**
/*
#w
First-principles (GGA-PBE) data for crystalline NaAsPb3 at its relaxed geometry, as listed in Alexandria via LeMat-Bulk.

Spin magnetization: 0.0 μB per formula unit

Cell: 5.698 5.698 5.698 Å, 90.00 90.00 90.00°
Sites, in units of the cell vectors:
Na1 0.500 0.500 0.500
Pb1 0.500 0.000 0.000
Pb2 0.000 0.000 0.500
Pb3 0.000 0.500 0.000
As1 0.000 0.000 0.000

***

#x
First-principles (GGA-PBE) data for crystalline NaAsPb3 at its relaxed geometry, as listed in Alexandria via LeMat-Bulk.

Spin magnetization: 0.0 μB per formula unit

Cell: 5.462 5.462 5.462 Å, 90.00 90.00 90.00°
Sites, in units of the cell vectors:
Pb1 0.000 0.500 0.000
Pb2 0.000 0.000 0.500
Pb3 0.500 0.000 0.000
Na1 0.000 0.000 0.000
As1 0.500 0.500 0.500

***

Best to worst by energy: #w, #x.

***

#w
First-principles (GGA-PBE) data for crystalline Na2AsPb2 at its relaxed geometry, as listed in Alexandria via LeMat-Bulk.

Spin magnetization: 0.0 μB per formula unit

Cell: 7.322 7.322 5.047 Å, 90.00 90.00 90.00°
Sites, in units of the cell vectors:
Na1 0.143 0.357 0.000
Na2 0.357 0.857 0.000
Na3 0.857 0.643 0.000
Na4 0.643 0.143 0.000
Pb1 0.173 0.673 0.500
Pb2 0.327 0.173 0.500
Pb3 0.827 0.327 0.500
Pb4 0.673 0.827 0.500
As1 0.000 0.000 0.000
As2 0.500 0.500 0.000

***

#x
First-principles (GGA-PBE) data for crystalline Na2AsPb2 at its relaxed geometry, as listed in Alexandria via LeMat-Bulk.

Spin magnetization: 0.0 μB per formula unit

Cell: 7.691 7.691 5.098 Å, 90.00 90.00 90.00°
Sites, in units of the cell vectors:
Pb1 0.645 0.145 0.000
Pb2 0.145 0.355 0.000
Pb3 0.355 0.855 0.000
Pb4 0.855 0.645 0.000
Na1 0.667 0.833 0.500
Na2 0.167 0.667 0.500
Na3 0.833 0.333 0.500
Na4 0.333 0.167 0.500
As1 0.500 0.500 0.000
As2 0.000 0.000 0.000

***

Best to worst by energy: #x, #w.

***

#w
First-principles (GGA-PBE) data for crystalline NaAsPbSe2 at its relaxed geometry, as listed in Alexandria via LeMat-Bulk.

Spin magnetization: 1.6 μB per formula unit

Cell: 5.660 5.660 5.519 Å, 90.00 90.00 90.00°
Sites, in units of the cell vectors:
Se1 0.000 0.500 0.000
Se2 0.500 0.000 0.000
Na1 0.500 0.500 0.500
Pb1 0.000 0.000 0.000
As1 0.000 0.000 0.500

***

#x
First-principles (GGA-PBE) data for crystalline NaAsPbSe2 at its relaxed geometry, as listed in Alexandria via LeMat-Bulk.

Spin magnetization: 0.0 μB per formula unit

Cell: 5.267 5.267 4.933 Å, 90.00 90.00 90.00°
Sites, in units of the cell vectors:
Na1 0.000 0.000 0.000
As1 0.000 0.000 0.500
Se1 0.000 0.500 0.000
Se2 0.500 0.000 0.000
Pb1 0.500 0.500 0.500

***

Best to worst by energy: #w, #x.

***

#w
First-principles (GGA-PBE) data for crystalline NaAs2PbSe at its relaxed geometry, as listed in Alexandria via LeMat-Bulk.

Spin magnetization: 2.2 μB per formula unit

Cell: 5.619 5.619 5.776 Å, 90.00 90.00 90.00°
Sites, in units of the cell vectors:
Na1 0.500 0.500 0.500
As1 0.500 0.000 0.000
As2 0.000 0.500 0.000
Se1 0.000 0.000 0.500
Pb1 0.000 0.000 0.000

***

#x
*/

 Practicing the swim stoke on land.. Or hamming it up for the camera??
 Thats me ready to go giving the thumbs up.... It must be because ignorance is bliss.
 Well I made it out of the water and it is time for a 56 mile ride..  Lets do this.

 Riding off a blistering speed.
 NO WHITE FLAGS.  This is what started this whole journey.  My step brother was Diagnosed with ALS 2.5 years ago and was living life with a do not give up attitude and I thought I can do that too.  So I am going to do a half IRONMAN.  He started Team Gleason bringing awareness to ALS. The theme and Mantra is NO WHITE FLAGS.  And if you have followed my blog you know this race was supposed to take place last year, but with my Mom in the hospital fighting for her life (and that she did) it became a 2013 Goal.
 Here is a picture of what all of us are chasing today.... a piece of metal that says you did it, that same piece of metal goes to the person who finishes first and to the one who finishes last. A true family that shars a common goal... The Finish line.
 There they are again, a symbol that means soooo much.
 The run. Here is where my tears started coming into play.  After a few steps back on the bike like my chain falling off twice and in that process crashing.  I was beginning to worry I may get pulled from the course.  You see this is a a shuffle-run-walk for 13.1 miles and that shuffle-run-walk was not looking like it was on pace to hit the cut.  I looked at my family on the end of the first loop in tears pointing to my watch saying I may not make the cut.  They just stood there and screamed and yelled and said that I could do it and to just keep moving on.  That is what I did. Shuffle-run-walk. N.W.F.
 There is it the end the finish a goal accomplished.  The folks on the left side of this picture I met on the course and if you can see are wearing Team Gleason shirts.  They finished 3 hours before me and when they heard I was still out there, they wanted to stay and watch me finish.  At this point there is only one person behind me on the course.
 2nd to last is what I finished.  But I have a mental I have crossed the same finish line as everyone else and I completed the same course as everyone else I am now apart of a family I will never forget.  IRONMAN 70.3  FINISHER!!!!!!!

 Team Gleason Ladies:)
Anthony who I raced beside the last 6 miles. awesome man!!
 Me and My Dad.
 The support crew.  I can't say enough about these people they made the day what it was meant to be!!!! Oh and if you were wondering the woman on the far right is my MOM, A walking miracle.
                                                            THANKS YOU EVERYONE!!!!!

Friday, April 19, 2013

For the First Time.

    Well for the first time I can honestly say I have been busy with training and if I have a free moment it is mostly filled by sleeping.  I had hit panic mode as I had mentioned before because I felt behind.  Like I can't run for an hour and a half and that is what training had been calling for.  The good news is that I had counted my training weeks wrong and when I thought I was on week 9 I was really supposed to be on week 5.  So it looks like I am right on track.  I have been slacking in the department of half marathon training but that is not my "A" race so I am not too concerned about that.  I have not been putting in as many miles as that training has been calling for so we shall see how the weekend of May 19th goes.
Update on Training:
The struggles I seem to have hit are time, time, time and time.  Where do you find the time.  Last year during this adventure I was living alone and worked from 9-5.  This year I have a roommate and I work from 9-6 and my commute home is now longer then .8 miles.  This has created some interesting workout hours and and my Friday nights at the gym are a lot later then they used to be. Oh I also forgot to mention that I have cable now.  So my workouts motivated out of pure boredom that I had last year do not exist this year.  So I find myself having to find a little more motivation from with in.  Which some days is harder then others.
    Currently, I am on week 7 and this is the hardest week of my second build phase. Next week will be a "recovery week" and then I start building again.  To give you an idea of the workouts this week I will let you know what my long workouts on the weekend call for. Friday-1,900 swim and a 50min run with 12 x 30sec sprints worked in. Saturday-is a 2 hour ride, Sunday-is a 1:20min run with a 2,300yd swim.  Tallest order to date but next weekend will be a bit of a rest. :) Still a 2 hour long ride, 45min run and 1,200yd.  I have relief in sight.
  I have a big weekend ahead of me but I am excited about it! Weekend update to come (hopefully sooner than later).

Tuesday, March 26, 2013

Weekend Update ( not by Seth Meyers)

The plan to get back on track has been working great but not without snags.  This past weekend I got to travel to Spokane for a lovely baby shower for a friend of mine.  For those of you out there with a 6 day a week training schedule with 9 workouts in it you know that traveling is hard on a schedule.
 I did my swim during my lunch break I had pain in my shoulder that had been there all week and it felt a bit like over use so I am letting my arms rest for a few days after Friday's swim. I skipped the run but I kinda had to but I had a great trainer session on the bike the night before that lasted longer then it was supposed to so I went with it. Knowing I was going to be on the road I pushed it a little harder Thursday night on the bike.
 I needed to spend 2 hours on my bike..... Well I didn't have "my bike" so I asked my mom if I could used hers.  It is a nice Felt but the frame is a bit small for me but a any bike is a better then no ride. So I powered off for my scenic trip around Spokane WA.  Water consumption was a bit difficult because the cage felt like it was on the ground because the seat post was so high but over all  loved riding back home and on my mom's bike.  Things I discovered during this ride... I want a new Bike, Spokane is cold and I also want a new saddle.
This is supposed to be my long run day and long swim with a rest on Monday.  Someone was too tired for a run and had a bbq to go to in Seattle so my time ran short. so I had an impromptu rest day on Sunday. Did some birthday celebrating and headed to bed after the basketball was over.
Time for my long run.  Now I believe I was only suppose to run for 50 mins but since I am training for a half marathon in May that training program called for 6 miles so I went for the 6 mile run.  The run was great and I lucked out with great Seattle weather.  I got home around 8pm and it took me about an hour and 20 mins to finish my run but I had a draw bridge break on the way that added some time in:).  Due to the arm pain I am swimming and biking on Tuesday so that I can get a little more rest for my shoulder.  All in all only one workout was postponed and it didn't seam to effect my long run so that is great to see.

I will sending another recap at the end of the week to make sure I keep up with this grueling but awesome adventure of triathlon.  Hopefully with my next update I will be able to tell you that I was a successful with the 8 lbs weigh loss challenge I entered at work. It was a pick your own goal challenge and I chose to lose 8lbs in March I have until the 29th so pray I made it. I am down 6 lbs right now so we shall see....

Wednesday, March 20, 2013

The good, bad and the ugly.

The Bad:
Its has been some time since an official training update and I would like to say it is because I am so busy with my training that I have not had the time.  That however this is not the case.  Confession I have been a slacker at best in my last 2/3 weeks of training.  Yes I have run every week and only missed one swim workout but I think that someone may have done something to my bike that actually repels training all together.  I look at it and it looks like a foreign object, and my bike shoes what are those they do not look like sneakers or flip flops so I must not know how to put them on.
The Ugly:
 In short I have hit panic mode.  Like can I even do this? Why is triathlon even fun? I could be traveling and exploring the world but I spend money on this sport that literally feels like torture sometime ( lately all the time).  It does not help that in the off season I have put on some extra insulation ( that right I got fat).  And that, is never fun getting back at it and remembering you used to be faster or clothes used to fit a little different.  I am sharing this with you all mostly for some accountability and to help me snap out of the funk.   I am not sure if any of you have felt this way but its not fun feeling like you may have made a $360.00 mistake!!

The Good:
I have a plan!!!  I have added a few races to my schedule that are event specific so that I have small, short term goals to reach.
I will be doing a 1.2 mile open swim race on june15th. The point of this is be able to just focus on one event and when it is over its over no bike no traditions and no, I did the swim great but everything fell apart after that feeling. I still get the open water experience and this will bring some of the fun back to the sport and confidence. 
I will be doing a century ride( 100 mile) on June 9th.  This will give me confidence in the race because if I can do 100 I can do 56.  Again it is only a ride so I will be able to really focus on just one thing and practice nutrition, because a 100 mile ride should be about as long as the half iron give or take. Mentally is it nice to know it is just one discipline at a time.
On may 19th I will be doing a half marathon. I am doing this to make sure I get my running mileage up because in triathlon training they measure training in time not distance.  For us slower runners this is not ideal because a one hour run is not going to be 6 miles it may only be 4.5 or 5, and for that reason when training I want to be sure I can tackle the full distance of the run.

I will be doing 2 full blown races before my A race that will work out kinks in transition and doing all things together on the same day in race atmosphere. Along with all of these small goals I have joined a triathlon club which will help me with group rides and open water swimming. I will also get the comradery of being around other athletes.
I have the plan in place and now it is just time to do it.  I will be more active in my blogging about training reports and struggles of the sport to help me stay on track and I will also pray.  And I mean the quite literally right now I need some help and I know where I can get it!

"Those who hope in the LORD will renew their strength. They will soar on wings like eagles; they will run and not grow weary, they will walk and not be faint."
-Isaiah 40:31

"Awesome Aint Easy" - Steve Gleason

-Rookie Runner Out!!